/*
Entry from the Alexandria database: a relaxed MnNCl2 crystal (GGA-PBEsol).

Values from the calculation:
Its density of states at the Fermi level is 0.000 states/eV per cell. For the total energy, the calculation gives -4.899 eV/atom. The formation energy without anion corrections comes out at 261 kJ/mol of formula units. As for the spin magnetization: 8.00 μB per formula unit.

a b c (Å): 7.0069 7.0069 9.0099
angles (deg): 90.00 90.00 90.00
Last column: nearest neighbours and their distance in Å.
Space group I-42d (No. 122)
Unique sites:
Mn 0.0000 0.0000 0.0000 (multiplicity 4)  4 Cl 2.35
N 0.0000 0.0000 0.5000 (multiplicity 4)  4 Cl 3.19
Cl 0.1543 0.2500 0.1250 (multiplicity 8)  2 Mn 2.35

=====

<A>
The following is a DFT calculation (PBE) of MnCoMo2H after structural relaxation.

* space group: No. 123
* magnetic moment: 0.66 μB/f.u.
* calculated density: 9.11 g/cm3

Unit cell a=3.897 b=3.897 c=3.683 alpha=90.00 beta=90.00 gamma=90.00
Each line ends with the local moment (μB).
Sites, in units of the cell vectors:
H1 0.000 0.000 0.000  0.00
Mo1 0.000 0.500 0.000  -0.19
Mo2 0.500 0.000 0.000  -0.19
Co1 0.500 0.500 0.500  -0.67
Mn1 0.000 0.000 0.500  1.68

***

<B>
The following is a DFT calculation (PBE) of MnCoMo2H after structural relaxation.

* space group: No. 123
* magnetic moment: 0.78 μB/f.u.
* calculated density: 9.14 g/cm3

Unit cell a=3.914 b=3.914 c=3.639 alpha=90.00 beta=90.00 gamma=90.00
Each line ends with the local moment (μB).
Sites, in units of the cell vectors:
Mo1 0.500 0.000 0.000  -0.23
Mo2 0.000 0.500 0.000  -0.23
Co1 0.000 0.000 0.500  -0.48
Mn1 0.500 0.500 0.500  1.68
H1 0.000 0.000 0.000  0.00

***

Stability summary - winner: <B>; margin: 0.7 kJ/mol of atoms.

***

<A>
The following is a DFT calculation (PBE) of MnNbCo2H after structural relaxation.

* space group: No. 123
* magnetic moment: 1.64 μB/f.u.
* calculated density: 8.63 g/cm3

Unit cell a=3.692 b=3.692 c=3.765 alpha=90.00 beta=90.00 gamma=90.00
Each line ends with the local moment (μB).
Sites, in units of the cell vectors:
H1 0.000 0.000 0.000  -0.01
Co1 0.000 0.500 0.000  0.15
Co2 0.500 0.000 0.000  0.15
Mn1 0.000 0.000 0.500  1.72
Nb1 0.500 0.500 0.500  -0.37

***

<B>
The following is a DFT calculation (PBE) of MnNbCo2H after structural relaxation.

* space group: No. 123
* magnetic moment: 1.43 μB/f.u.
* calculated density: 8.48 g/cm3

Unit cell a=3.646 b=3.646 c=3.929 alpha=90.00 beta=90.00 gamma=90.00
Each line ends with the local moment (μB).
Sites, in units of the cell vectors:
Co1 0.500 0.000 0.000  -0.07
Co2 0.000 0.500 0.000  -0.07
H1 0.000 0.000 0.000  0.00
Nb1 0.000 0.000 0.500  -0.37
Mn1 0.500 0.500 0.500  1.91

***

Stability summary - winner: <A>; margin: 5.9 kJ/mol of atoms.

***

<A>
The following is a DFT calculation (PBE) of MnNb2CoH after structural relaxation.

* space group: No. 123
* magnetic moment: 0.41 μB/f.u.
* calculated density: 8.32 g/cm3

Unit cell a=4.232 b=4.232 c=3.351 alpha=90.00 beta=90.00 gamma=90.00
Each line ends with the local moment (μB).
Sites, in units of the cell vectors:
Nb1 0.500 0.000 0.000  0.04
Nb2 0.000 0.500 0.000  0.04
Co1 0.000 0.000 0.500  0.36
H1 0.000 0.000 0.000  0.00
Mn1 0.500 0.500 0.500  -0.02

***

<B>
The following is a DFT calculation (PBE) of MnNb2CoH after structural relaxation.

* space group: No. 123
* magnetic moment: 0.46 μB/f.u.
* calculated density: 8.28 g/cm3

Unit cell a=4.196 b=4.196 c=3.426 alpha=90.00 beta=90.00 gamma=90.00
Each line ends with the local moment (μB).
Sites, in units of the cell vectors:
Nb1 0.500 0.000 0.000  0.07
Nb2 0.000 0.500 0.000  0.07
Mn1 0.000 0.000 0.500  -0.39
H1 0.000 0.000 0.000  0.00
Co1 0.500 0.500 0.500  0.72

***

Stability summary - winner: <A>; margin: 2.9 kJ/mol of atoms.

***

<A>
The following is a DFT calculation (PBE) of Mn2CoNiH after structural relaxation.

* space group: No. 123
* magnetic moment: 4.70 μB/f.u.
* calculated density: 8.16 g/cm3

Unit cell a=3.630 b=3.630 c=3.527 alpha=90.00 beta=90.00 gamma=90.00
*/

Could you work out how many lines further up have the word "atoms" in them; a number is enough?

3